Work order
The reader should print all of the notes underneath with every line break kept.

Contents
+++
Entry 1:
La4TlB3Rh12: computed powder diffractogram (a wavelength of 1.5418 Å), based on DFT lattice parameters and positions (GGA-PBE).

Cell lengths 7.713, 7.713, 7.713 Å; angles 109.47, 109.47, 109.47 degrees
Atoms (fractional coordinates):
La1 0.000 0.000 0.500
La2 0.000 0.500 0.000
La3 0.500 0.000 0.000
La4 0.500 0.500 0.500
Tl1 0.000 0.000 0.000
B1 0.000 0.500 0.500
B2 0.500 0.000 0.500
B3 0.500 0.500 0.000
Rh1 0.000 0.285 0.285
Rh2 0.000 0.715 0.715
Rh3 0.250 0.500 0.750
Rh4 0.250 0.750 0.500
Rh5 0.285 0.000 0.285
Rh6 0.285 0.285 0.000
Rh7 0.500 0.250 0.750
Rh8 0.500 0.750 0.250
Rh9 0.715 0.000 0.715
Rh10 0.715 0.715 0.000
Rh11 0.750 0.250 0.500
Rh12 0.750 0.500 0.250

The 8 most intense peaks (2θ from 10° to 90°), by angle:
2θ/deg	I/Imax
28.34	16
31.77	12
34.90	100
37.80	18
40.52	81
58.64	50
70.09	31
73.70	15

Entry 2:
Er2MnAlS6: computed powder diffractogram (a wavelength of 1.5418 Å), based on DFT lattice parameters and positions (GGA-PBE).

Cell lengths 6.417, 6.499, 6.713 Å; angles 61.75, 89.74, 62.13 degrees
Atoms (fractional coordinates):
Er1 0.000 0.000 0.000
Er2 0.495 0.006 0.502
Mn1 0.286 0.428 0.889
Al1 0.791 0.420 0.387
S1 0.066 0.276 0.165
S2 0.168 0.281 0.672
S3 0.424 0.509 0.167
S4 0.571 0.499 0.682
S5 0.674 0.881 0.182
S6 0.924 0.936 0.643

The 8 most intense peaks (2θ from 10° to 90°), by angle:
2θ/deg	I/Imax
18.25	51
19.16	100
25.61	50
26.40	46
26.61	46
26.79	37
38.88	44
42.88	38

Entry 3:
Li2TbSm2Pb2: computed powder diffractogram (a wavelength of 1.5418 Å), based on DFT lattice parameters and positions (GGA-PBE).

Cell lengths 9.563, 9.563, 9.563 Å; angles 29.38, 29.38, 29.38 degrees
Atoms (fractional coordinates):
Li1 0.101 0.101 0.101
Li2 0.899 0.899 0.899
Tb1 0.500 0.500 0.500
Sm1 0.372 0.372 0.372
Sm2 0.628 0.628 0.628
Pb1 0.234 0.234 0.234
Pb2 0.766 0.766 0.766

The 8 most intense peaks (2θ from 10° to 90°), by angle:
2θ/deg	I/Imax
21.40	52
22.13	30
31.22	91
33.74	91
37.07	100
50.99	29
63.74	39
64.70	28

Repeat the third record exactly.
Li2TbSm2Pb2: computed powder diffractogram (a wavelength of 1.5418 Å), based on DFT lattice parameters and positions (GGA-PBE).

Cell lengths 9.563, 9.563, 9.563 Å; angles 29.38, 29.38, 29.38 degrees
Atoms (fractional coordinates):
Li1 0.101 0.101 0.101
Li2 0.899 0.899 0.899
Tb1 0.500 0.500 0.500
Sm1 0.372 0.372 0.372
Sm2 0.628 0.628 0.628
Pb1 0.234 0.234 0.234
Pb2 0.766 0.766 0.766

The 8 most intense peaks (2θ from 10° to 90°), by angle:
2θ/deg	I/Imax
21.40	52
22.13	30
31.22	91
33.74	91
37.07	100
50.99	29
63.74	39
64.70	28

~~~~~

This entry pairs a crystal structure of NaCo2WO6 with its simulated PXRD pattern. Radiation: Cu Kα (weighted mean of Kα1 and Kα2). Structure: a structure optimized by DFT (GGA+U).

Crystal structure
```
NaCo2WO6
1.0
5.234 0.000 0.000
-2.603 4.548 0.000
-0.031 -3.015 4.658
Na Co W O
1 2 1 6
direct
0.000 0.000 0.000
0.216 0.438 0.648
0.702 0.405 0.106
0.505 0.010 0.515
0.113 0.573 0.345
0.354 0.253 0.826
0.462 0.232 0.344
0.574 0.934 0.830
0.765 0.879 0.341
0.896 0.469 0.828
```

Principal peaks in the range 5 to 70 degrees two-theta, in order of rising 2θ:
2θ/deg  Rel. int.  (hkl)
19.1  29  0 0 1
20.6  100  1 -1 0
23.3  25  1 0 -1
32.3  51  1 0 1
32.4  25  0 1 -2
34.2  49  1 1 -1
34.3  24  2 -1 0
39.4  21  1 1 0
47.7  20  0 2 0
52.5  22  1 1 1
60.0  19  -3 2 1
61.2  16  3 0 -1
+++

Completed
Entry 1:
La4TlB3Rh12: computed powder diffractogram (a wavelength of 1.5418 Å), based on DFT lattice parameters and positions (GGA-PBE).

Cell lengths 7.713, 7.713, 7.713 Å; angles 109.47, 109.47, 109.47 degrees
Atoms (fractional coordinates):
La1 0.000 0.000 0.500
La2 0.000 0.500 0.000
La3 0.500 0.000 0.000
La4 0.500 0.500 0.500
Tl1 0.000 0.000 0.000
B1 0.000 0.500 0.500
B2 0.500 0.000 0.500
B3 0.500 0.500 0.000
Rh1 0.000 0.285 0.285
Rh2 0.000 0.715 0.715
Rh3 0.250 0.500 0.750
Rh4 0.250 0.750 0.500
Rh5 0.285 0.000 0.285
Rh6 0.285 0.285 0.000
Rh7 0.500 0.250 0.750
Rh8 0.500 0.750 0.250
Rh9 0.715 0.000 0.715
Rh10 0.715 0.715 0.000
Rh11 0.750 0.250 0.500
Rh12 0.750 0.500 0.250

The 8 most intense peaks (2θ from 10° to 90°), by angle:
2θ/deg	I/Imax
28.34	16
31.77	12
34.90	100
37.80	18
40.52	81
58.64	50
70.09	31
73.70	15

Entry 2:
Er2MnAlS6: computed powder diffractogram (a wavelength of 1.5418 Å), based on DFT lattice parameters and positions (GGA-PBE).

Cell lengths 6.417, 6.499, 6.713 Å; angles 61.75, 89.74, 62.13 degrees
Atoms (fractional coordinates):
Er1 0.000 0.000 0.000
Er2 0.495 0.006 0.502
Mn1 0.286 0.428 0.889
Al1 0.791 0.420 0.387
S1 0.066 0.276 0.165
S2 0.168 0.281 0.672
S3 0.424 0.509 0.167
S4 0.571 0.499 0.682
S5 0.674 0.881 0.182
S6 0.924 0.936 0.643

The 8 most intense peaks (2θ from 10° to 90°), by angle:
2θ/deg	I/Imax
18.25	51
19.16	100
25.61	50
26.40	46
26.61	46
26.79	37
38.88	44
42.88	38

Entry 3:
Li2TbSm2Pb2: computed powder diffractogram (a wavelength of 1.5418 Å), based on DFT lattice parameters and positions (GGA-PBE).

Cell lengths 9.563, 9.563, 9.563 Å; angles 29.38, 29.38, 29.38 degrees
Atoms (fractional coordinates):
Li1 0.101 0.101 0.101
Li2 0.899 0.899 0.899
Tb1 0.500 0.500 0.500
Sm1 0.372 0.372 0.372
Sm2 0.628 0.628 0.628
Pb1 0.234 0.234 0.234
Pb2 0.766 0.766 0.766

The 8 most intense peaks (2θ from 10° to 90°), by angle:
2θ/deg	I/Imax
21.40	52
22.13	30
31.22	91
33.74	91
37.07	100
50.99	29
63.74	39
64.70	28

Repeat the third record exactly.
Li2TbSm2Pb2: computed powder diffractogram (a wavelength of 1.5418 Å), based on DFT lattice parameters and positions (GGA-PBE).

Cell lengths 9.563, 9.563, 9.563 Å; angles 29.38, 29.38, 29.38 degrees
Atoms (fractional coordinates):
Li1 0.101 0.101 0.101
Li2 0.899 0.899 0.899
Tb1 0.500 0.500 0.500
Sm1 0.372 0.372 0.372
Sm2 0.628 0.628 0.628
Pb1 0.234 0.234 0.234
Pb2 0.766 0.766 0.766

The 8 most intense peaks (2θ from 10° to 90°), by angle:
2θ/deg	I/Imax
21.40	52
22.13	30
31.22	91
33.74	91
37.07	100
50.99	29
63.74	39
64.70	28

~~~~~

This entry pairs a crystal structure of NaCo2WO6 with its simulated PXRD pattern. Radiation: Cu Kα (weighted mean of Kα1 and Kα2). Structure: a structure optimized by DFT (GGA+U).

Crystal structure
```
NaCo2WO6
1.0
5.234 0.000 0.000
-2.603 4.548 0.000
-0.031 -3.015 4.658
Na Co W O
1 2 1 6
direct
0.000 0.000 0.000
0.216 0.438 0.648
0.702 0.405 0.106
0.505 0.010 0.515
0.113 0.573 0.345
0.354 0.253 0.826
0.462 0.232 0.344
0.574 0.934 0.830
0.765 0.879 0.341
0.896 0.469 0.828
```

Principal peaks in the range 5 to 70 degrees two-theta, in order of rising 2θ:
2θ/deg  Rel. int.  (hkl)
19.1  29  0 0 1
20.6  100  1 -1 0
23.3  25  1 0 -1
32.3  51  1 0 1
32.4  25  0 1 -2
34.2  49  1 1 -1
34.3  24  2 -1 0
39.4  21  1 1 0
47.7  20  0 2 0
52.5  22  1 1 1
60.0  19  -3 2 1
61.2  16  3 0 -1